Development Of Fas example essay topic
According to many physicians it is the leading cause of birth defects and developmental disabilities in the United States today. Douglas A. Milligan states that, 'FAS is the single greatest cause of mental retardation in the U.S. today' (Seachrist, p. 314). Fetal Alcohol Syndrome was first named and treated and found in the late 1960's. This condition results from the toxic effect of alcohol and its chemical factors on the developing fetus and its brain. The alcohol enters the bloodstream through the placenta and then the damage begins to occur. FAS consists of a characteristic pattern of abnormalities resulting from the exposure that the fetus has had with alcohol during early development.
There have been many reports linking alcohol use and fetal deficiencies in growth that emerged from France in the late 1950's. Not until the 1960's was the correlation made between the number of defects and the increasing amount of babies born with the syndrome. The term Fetal Alcohol Syndrome was coined to describe the pattern of the abnormalities found in some children born to alcoholic women. It clearly was very noticeable and distinctive in the recognition of itself and was distinct from all other patterns of malformation in the fetus; there was a significant association found between the alcohol consumption rates during pregnancy and a lower general cognitive index of these children.
Being further studied in the 1970's under the heading as a birth defect that occurs, FAS was one of the most common causes of birth defects. Researchers said that it occurred in almost 1 of every 500 to 1 in every thousand births (Seachrist, p. 314). There is a major thing that causes difficulty in the diagnosis of this disorder though, its main diagnosis hinges on the obvious facial abnormalities, short stature, and low IQ. Children who do not meet all of these factors are diagnosed with FAE, Fetal Alcohol Effect, a milder form of FAS. There are general abnormalities that affect both forms of the disease.
These abnormalities include a deficiency in growth, a pattern of malformation affecting the face, heart, and urinary tract. There are abnormalities within the brain that lead to various intellectual and behavioral problems in early childhood, as well as problems within the central nervous system. As I stated before many factors do play a role in the development of FAS in an infant. The most prominent among these are the frequency and the quantity of maternal alcohol consumption during the pregnancy. The timing of the gestation of alcohol is what determines the level of abnormalities that occur. The stage of development at which alcohol consumption takes place and that in correlation to the gestation period, nutritional status, and genetic background all play parts in the development of the baby and its defects.
Inserted here: records of crystals.
<<<
(1)
VASP calculation (PBE) on a relaxed La2RuCBr crystal.

Cell lengths 5.389, 5.389, 3.895 Å; angles 90.00, 90.00, 90.00 degrees
Element x y z (fractional)
Ru 0.000 0.000 0.500
C 0.000 0.000 0.000
La 0.500 0.000 0.000
La 0.000 0.500 0.000
Br 0.500 0.500 0.500

Calculated values
Uncorrected energy (eV/atom): -6.57
Energy relative to the elements, uncorrected (kJ per mole of atoms): -55
V (Å³/f.u.): 113.1
Density (g/cm3): 6.91


(2)
VASP calculation (PBE) on a relaxed ScVPt2 crystal.

Cell lengths 4.090, 4.090, 9.080 Å; angles 76.98, 76.98, 90.00 degrees
Element x y z (fractional)
Pt 0.641 0.125 0.250
Pt 0.875 0.891 0.750
Pt 0.375 0.359 0.750
Pt 0.109 0.625 0.250
Sc 0.250 0.750 0.500
Sc 0.500 0.500 0.000
V 0.000 0.000 0.000
V 0.750 0.250 0.500

Calculated values
Uncorrected energy (eV/atom): -7.07
ΔE_f (eV per formula unit): -0.74
V (Å³/f.u.): 72.0
Density (g/cm3): 11.21

~~~~~

(1)
# Zr2TaSi PBE relaxed
data_Zr2TaSi
_chemical_formula_sum 'Zr4 Ta2 Si2'
_symmetry_space_group_name_H-M 'I 4/m m m'
_symmetry_Int_Tables_number 139
_symmetry_space_group_name_Hall '-I 4 2'
_cell_length_a 4.191
_cell_length_b 4.191
_cell_length_c 8.739
_cell_angle_alpha 90.00
_cell_angle_beta 90.00
_cell_angle_gamma 90.00
loop_
_atom_site_label
_atom_site_type_symbol
_atom_site_fract_x
_atom_site_fract_y
_atom_site_fract_z
Zr1 Zr 0.000 0.500 0.250
Ta1 Ta 0.000 0.000 0.000
Si1 Si 0.000 0.000 0.500
# Theoretical density in g/cm³: 8.47
# M_tot in Bohr magnetons per cell: 0.00
# Raw formation energy in meV per atom: -133

(2)
# ScSCl PBE relaxed
data_ScSCl
_chemical_formula_sum 'Sc2 S2 Cl2'
_symmetry_space_group_name_H-M 'P -1'
_symmetry_Int_Tables_number 2
_cell_length_a 3.732
_cell_length_b 6.518
_cell_length_c 7.442
_cell_angle_alpha 64.57
_cell_angle_beta 75.86
_cell_angle_gamma 89.98
loop_
_symmetry_equiv_pos_as_xyz
'x,y,z'
'-x,-y,-z'
loop_
_atom_site_label
_atom_site_type_symbol
_atom_site_fract_x
_atom_site_fract_y
_atom_site_fract_z
Sc1 Sc 0.245 0.221 0.010
S1 S 0.357 0.026 0.782
Cl1 Cl 0.147 0.477 0.213
# Theoretical density in g/cm³: 2.37
# M_tot in Bohr magnetons per cell: 0.00
# Raw formation energy in meV per atom: -1960

~~~~~

The following is a PBE-GGA calculation of a geometry-optimized LaDy7Y5 structure, from the Alexandria database.

total moment = 0.00 μB/f.u.
space-group type = Imm2
DFT formation energy = 0.26 eV per atom
final energy = -66.044 eV for the cell shown

Lattice parameters (Å, degrees): 8.7603 8.7603 8.7603 134.96 99.65 97.22
Closest atoms and distances in Å follow each position.
Positions (direct):
La 0.0000 0.0000 0.0000  5 Dy 3.64-3.99, 4 Y 3.97
Dy 0.2308 0.5270 0.7038  4 Dy 3.37-3.71, 5 Y 3.38-3.43
Dy 0.3141 0.3141 0.0000  1 Dy 3.33, 6 Y 3.44-3.55, 1 La 3.64
Dy 0.3714 0.0273 0.3441  5 Y 3.51-3.70, 6 Dy 3.52-3.89, 1 La 3.90
Dy 0.6017 0.6017 0.0000  3 Dy 3.33-3.46, 4 Y 3.68
Dy 0.6832 0.0273 0.6559  5 Y 3.51-3.70, 6 Dy 3.52-3.89, 1 La 3.90
Dy 0.8141 0.3141 0.5000  4 Y 3.16, 2 Dy 3.37
Dy 0.8232 0.5270 0.2962  4 Dy 3.37-3.71, 5 Y 3.38-3.43
>>>
The alcohol that is being consumed does have an effect on the cellular and molecular development of the fetus and that is what generally underlies the development of FAS. There are specifics in diagnosing that doctors look for in treating a patient for FAS. First of all the eyes are the most common and consistent sign of FAS, the eyelids especially. Children often appear to have widely spaced eyes but measurements reveal that they are spaced apart normally.
This disparity in sight is caused by short 'fissures (eye openings) '. The distance between the inner and outer corners of each eye is palpebral shortened making the eyes appear smaller and farther apart than normal. Following the downward pattern, the next common facial defect in children of FAS / FAE is slow growth in the center of the face. This produces an underdeveloped mid-face and the zone between the eye and the mouth may seem to be flattened or depressed and in congruence the bridge of the nose is often very low. As a result of slow nose growth, the nose tends to point forward and downward in that same respect (Aase, p. 5). Subtle but still a characteristic feature is the philtrum, the area between the nose and the mouth.
[Attached: materials data]
........
Record 1
# PBE Ge2B2Se, relaxed
# * M_tot: 0.000 μB/atom
# * D(E_F): 2.1 states/eV per cell
# * uncorrected formation energy: 3.8 eV per formula unit
data_Ge2B2Se
_space_group_name_H-M_alt 'P 1'
_space_group_IT_number 1
_cell_length_a 5.1249
_cell_length_b 5.1249
_cell_length_c 5.1249
_cell_angle_alpha 132.85
_cell_angle_beta 132.85
_cell_angle_gamma 68.89
loop_
_space_group_symop_operation_xyz
'x,y,z'
loop_
_atom_site_label
_atom_site_type_symbol
_atom_site_fract_x
_atom_site_fract_y
_atom_site_fract_z
Ge1 Ge 0.2500 0.7500 0.5000
Ge2 Ge 0.7500 0.2500 0.5000
B1 B 0.1009 0.1009 0.0000
B2 B 0.8991 0.8991 0.0000
Se1 Se 0.5000 0.5000 0.0000

---

Record 2
# PBE VCuNiBr2, relaxed
# * M_tot: 0.754 μB/atom
# * D(E_F): 5.7 states/eV per cell
# * uncorrected formation energy: 3.4 eV per formula unit
data_VCuNiBr2
_space_group_name_H-M_alt 'P 1'
_space_group_IT_number 1
_cell_length_a 4.8046
_cell_length_b 4.8046
_cell_length_c 4.5686
_cell_angle_alpha 90.00
_cell_angle_beta 90.00
_cell_angle_gamma 90.00
loop_
_space_group_symop_operation_xyz
'x,y,z'
loop_
_atom_site_label
_atom_site_type_symbol
_atom_site_fract_x
_atom_site_fract_y
_atom_site_fract_z
V1 V 0.0000 0.0000 0.0000
Cu1 Cu 0.5000 0.5000 0.0000
Ni1 Ni 0.5000 0.5000 0.5000
Br1 Br 0.0000 0.5000 0.5000
Br2 Br 0.5000 0.0000 0.5000

---

Record 3
# PBE HoHf2Zr3N6, relaxed
# * M_tot: 0.000 μB/atom
# * D(E_F): 2.9 states/eV per cell
# * uncorrected formation energy: -20.7 eV per formula unit
data_HoHf2Zr3N6
_space_group_name_H-M_alt 'P 1'
_space_group_IT_number 1
_cell_length_a 7.3126
_cell_length_b 7.3126
_cell_length_c 6.5758
_cell_angle_alpha 102.96
_cell_angle_beta 102.96
_cell_angle_gamma 25.73
loop_
_space_group_symop_operation_xyz
'x,y,z'
loop_
_atom_site_label
_atom_site_type_symbol
_atom_site_fract_x
_atom_site_fract_y
_atom_site_fract_z
Ho1 Ho 0.0000 0.0000 0.0000
Hf1 Hf 0.3331 0.3331 0.6658
Hf2 Hf 0.6669 0.6669 0.3342
Zr1 Zr 0.0000 0.0000 0.5000
Zr2 Zr 0.3341 0.3341 0.1683
Zr3 Zr 0.6659 0.6659 0.8317
N1 N 0.1694 0.1694 0.5757
N2 N 0.1701 0.1701 0.0944
N3 N 0.4954 0.4954 0.7399
N4 N 0.5046 0.5046 0.2601
N5 N 0.8299 0.8299 0.9056
N6 N 0.8306 0.8306 0.4243

---

Record 4
# PBE PmPr5Sm2Ho, relaxed
# * M_tot: 0.000 μB/atom
# * ΔH_f (0 K): 0.282 eV per atom
# * D(E_F): 31.0 states/eV per cell
data_PmPr5Sm2Ho
_space_group_name_H-M_alt 'P 1'
_space_group_IT_number 1
_cell_length_a 10.1898
_cell_length_b 10.1898
_cell_length_c 10.1898
_cell_angle_alpha 128.04
_cell_angle_beta 128.04
_cell_angle_gamma 76.55
loop_
_space_group_symop_operation_xyz
'x,y,z'
loop_
_atom_site_label
_atom_site_type_symbol
_atom_site_fract_x
_atom_site_fract_y
_atom_site_fract_z
Pm1 Pm 0.2500 0.2500 0.0000
Pm2 Pm 0.7500 0.7500 0.0000
Pr1 Pr 0.0000 0.0000 0.0000
Pr2 Pr 0.0699 0.5699 0.9188
Pr3 Pr 0.1511 0.0699 0.5000
Pr4 Pr 0.3489 0.8489 0.9188
Pr5 Pr 0.4301 0.3489 0.5000
Pr6 Pr 0.5000 0.5000 0.0000
Pr7 Pr 0.5699 0.6511 0.5000
Pr8 Pr 0.6511 0.1511 0.0812
Pr9 Pr 0.8489 0.9301 0.5000
Pr10 Pr 0.9301 0.4301 0.0812
........
Characterized by a vertical midline groove, bordered by two vertical ridges of the skin, where the grooves meet the red margin of the upper lip it forms a 'cupid's bow'. In the development of the FAS child there is a long, smooth philtrum without the ridges that should be there coupled with a smoothly arched upper lip margin. Where as the facial abnormalities are very obvious when looked for the abnormalities of the limbs and joints are less consistent. These include deformities of the small joints of the hands as well as an incomplete rotation at the elbow (Aase, p. 5). Looking inwardly to the problems that may occur children with FAS are also for the most part stricken with an increased risk for many common birth defects. Of these chronic defects include congenial heart disease, abnormalities of the urinary tract and genitals, and spina bifida.
These aforementioned abnormalities are not specific to FAS but coupled with FAS characteristics they help to provide a more clear and concise diagnosis. There were many reports of behavioral and intellectual trouble in all the children that have thus been diagnosed. Beginning with infancy, the children have problems at feeding and are highly irritable. They also exhibit unpredictable sleeping and eating patterns that make it hard for the baby to be cared for and for maternal bonding to occur.
During development, both physical and mental, FAS children have very fine and poor motor coordination skills and it becomes very apparent at the preschool age. They also are very affectionate but at the same time very hyperactive, which makes it a problem for the teachers who have them in class to deal with. This is why they are, during the first few years of school, given the diagnosis of having attention-deficit hyperactivity disorder (ADHD); this diagnosis is given because of their high activity level, short attention span, and poor short-term memory. Many of these children require special education help regardless of the fact that their IQ falls between the normal range. Their hyperactivity calls for them to receive special attention that normal teachers cannot and at most time will not give them. As FAS children grow into FAS adults, their level of development and how they developed begins to show in everything that they do.
Since their social and mental health has been compromised as adults they exhibit inadequate communication skills, impulsivity, poor judgment, trouble with abstract thinking, and limited problem solving skills. With all these problems they often have difficulty in holding down a job because of their unreliability, lack of social skills, and functional illiteracy. There are many different factors involved in fetal development.